### Job
Copy only the lines further down with the word "Tl4Hg2ClO" in them.
### Source
<<<
No. 1
# AlAu7
Simulated XRD peak list, Cu Kα, 1.54184 Å. Input: a structure optimized by DFT (GGA-PBE).
Kinematic intensities with the Lorentz-polarization factor, no thermal factor.

Structural model:
```
AlAu7
1.0
0.0000 4.1418 4.1418
4.1418 0.0000 4.1418
4.1418 4.1418 0.0000
Al Au
1 7
direct
0.0000 0.0000 0.0000
0.0000 0.0000 0.5000
0.0000 0.5000 0.0000
0.0000 0.5000 0.5000
0.5000 0.0000 0.0000
0.5000 0.0000 0.5000
0.5000 0.5000 0.0000
0.5000 0.5000 0.5000
```

Peak list (8 most intense, 10° ≤ 2θ ≤ 90°, most intense first)
d = 2.391 Å, I = 100; d = 2.071 Å, I = 49; d = 1.249 Å, I = 40; d = 1.464 Å, I = 33; d = 1.196 Å, I = 12; d = 4.783 Å, I = 8; d = 2.498 Å, I = 5; d = 4.142 Å, I = 4


No. 2
# Tl4Hg2ClO
Simulated XRD peak list, Cu Kα, 1.54184 Å. Input: a structure optimized by DFT (GGA-PBE).
Kinematic intensities with the Lorentz-polarization factor, no thermal factor.

Structural model:
```
Tl4Hg2ClO
1.0
-3.6043 5.5924 6.2906
3.6043 -5.5924 6.2906
3.6043 5.5924 -6.2906
Tl Hg Cl O
8 4 2 2
direct
0.2896 0.3015 0.5120
0.2896 0.7776 0.9880
0.3356 0.2494 0.0863
0.3369 0.7506 0.5863
0.6631 0.2494 0.4137
0.6644 0.7506 0.9137
0.7104 0.2224 0.0120
0.7104 0.6985 0.4880
0.0000 0.0000 0.0000
0.0000 0.0000 0.5000
0.0000 0.5000 0.0000
0.5000 0.0000 0.5000
0.0000 0.5000 0.5000
0.5000 0.5000 0.0000
0.5000 0.0000 0.0000
0.5000 0.5000 0.5000
```

Peak list (8 most intense, 10° ≤ 2θ ≤ 90°, most intense first)
d = 3.030 Å, I = 100; d = 3.145 Å, I = 59; d = 2.182 Å, I = 58; d = 2.655 Å, I = 57; d = 2.786 Å, I = 54; d = 3.575 Å, I = 33; d = 2.555 Å, I = 23; d = 1.806 Å, I = 22


No. 3
# TbPrBr6
Simulated XRD peak list, Cu Kα, 1.54184 Å. Input: a structure optimized by DFT (GGA-PBE).
Kinematic intensities with the Lorentz-polarization factor, no thermal factor.

Structural model:
```
TbPrBr6
1.0
3.5912 2.0734 6.5732
-3.5912 2.0734 6.5732
0.0000 -4.1468 6.5732
Tb Pr Br
1 1 6
direct
0.0000 0.0000 0.0000
0.5000 0.5000 0.5000
0.0848 0.4039 0.7567
0.2433 0.9152 0.5961
0.4039 0.7567 0.0848
0.5961 0.2433 0.9152
0.7567 0.0848 0.4039
0.9152 0.5961 0.2433
```

Peak list (8 most intense, 10° ≤ 2θ ≤ 90°, most intense first)
d = 3.152 Å, I = 100; d = 5.261 Å, I = 93; d = 2.425 Å, I = 79; d = 2.073 Å, I = 51; d = 3.864 Å, I = 38; d = 2.288 Å, I = 29; d = 1.870 Å, I = 22; d = 1.288 Å, I = 22


No. 4
# SmIn9Pd2
Simulated XRD peak list, Cu Kα, 1.54184 Å. Input: a structure optimized by DFT (GGA-PBE).
Kinematic intensities with the Lorentz-polarization factor, no thermal factor.

Structural model:
```
SmIn9Pd2
1.0
-6.3768 6.3768 3.5643
6.3768 -6.3768 3.5643
6.3768 6.3768 -3.5643
Sm In Pd
2 18 4
direct
0.3750 0.6250 0.7500
0.6250 0.3750 0.2500
0.0952 0.5453 0.3085
0.0952 0.7867 0.5499
0.1250 0.8750 0.2500
0.2133 0.2633 0.3085
0.2133 0.9048 0.9501
0.2633 0.2133 0.8085
0.2633 0.4547 0.0499
0.4547 0.2633 0.5499
0.4547 0.9048 0.1915
0.5453 0.0952 0.8085
0.5453 0.7367 0.4501
0.7367 0.5453 0.9501
0.7367 0.7867 0.1915
0.7867 0.0952 0.0499
0.7867 0.7367 0.6915
0.8750 0.1250 0.7500
0.9048 0.2133 0.4501
0.9048 0.4547 0.6915
0.0000 0.0000 0.0000
0.0000 0.0000 0.5000
0.0000 0.5000 0.0000
0.5000 0.0000 0.5000
```

Peak list (8 most intense, 10° ≤ 2θ ≤ 90°, most intense first)
d = 2.671 Å, I = 100; d = 2.402 Å, I = 62; d = 2.852 Å, I = 41; d = 3.169 Å, I = 22; d = 2.227 Å, I = 18; d = 2.336 Å, I = 17; d = 1.609 Å, I = 16; d = 2.255 Å, I = 16


No. 5
# K4Gd2C3O9F4
Simulated XRD peak list, Cu Kα, 1.54184 Å. Input: a structure optimized by DFT (GGA-PBE).
Kinematic intensities with the Lorentz-polarization factor, no thermal factor.

Structural model:
```
K4Gd2C3O9F4
1.0
7.0063 0.0000 0.0000
0.0000 9.1452 0.0000
-1.9886 0.0000 10.4703
K Gd C O F
8 4 6 18 8
direct
0.0013 0.0000 0.2497
0.1100 0.3118 0.0589
0.1323 0.8194 0.5605
0.4943 0.3729 0.7469
0.5057 0.8729 0.2531
0.8677 0.3194 0.4395
0.8900 0.8118 0.9411
0.9987 0.5000 0.7503
0.3555 0.4907 0.3945
0.3566 0.0037 0.8913
0.6434 0.5037 0.1087
0.6445 0.9907 0.6055
0.0127 0.6401 0.2417
0.3538 0.6737 0.9378
0.3558 0.1741 0.4264
>>>
### Written answer
# Tl4Hg2ClO
Tl4Hg2ClO